Tuesday, September 30, 2008
Thursday 25 September 2008
by: Patrick Lagacè, La Presse
Posted today by Mark from today's
"There's too many of you!" (Art: Pancho / Le Monde)
We're talking about 700 billion American dollars.
Yeah! Seven hundred billion dollars is Taiwan's GDP; it's the equivalent of the world's 21st economy. It's only slightly less than the 829 billion US dollars that circulate as bills and coins in the world.
I know; it's still rather vague. It's still abstract.
Let's bring it down to what we can understand: Laying 700 billion US one dollar bills end to end would allow us to go two-thirds of the distance from the Earth to the Sun, or 104 million kilometers. They would weigh the same as seven American aircraft carriers.
Materials data from another source follow.
-- begin --
NbCdTe2O8 | Alexandria via LeMat-Bulk | PBE | optimized geometry; crystal system = monoclinic; density of states at the Fermi level = 5.86 states/eV/f.u.; raw formation energy = -1.384 eV per atom
1.0
3.536 -3.428 0.000
3.536 3.428 0.000
-0.176 0.000 6.863
Nb Cd Te O
1 1 2 8
Cartesian
0.000 0.000 0.000 Nb
-0.088 0.000 3.431 Cd
3.390 0.000 1.716 Te
3.507 0.000 5.146 Te
3.333 2.085 1.494 O
3.563 2.085 5.369 O
2.026 0.000 0.278 O
2.175 0.000 3.221 O
4.722 0.000 3.641 O
4.870 0.000 6.585 O
3.333 -2.085 1.494 O
3.563 -2.085 5.369 O

ThNbCdO6 | Alexandria via LeMat-Bulk | PBE | optimized geometry; crystal system = tetragonal; density of states at the Fermi level = 7.05 states/eV/f.u.; raw formation energy = -2.345 eV per atom
1.0
5.111 0.000 0.000
0.000 5.111 0.000
0.000 0.000 10.308
Th Nb Cd O
2 2 2 12
Cartesian
0.000 0.000 0.000 Th
2.555 2.555 5.154 Th
0.000 0.000 3.398 Nb
2.555 2.555 8.552 Nb
0.000 0.000 6.910 Cd
2.555 2.555 1.756 Cd
0.938 0.938 1.960 O
0.942 0.942 5.018 O
1.126 1.126 8.656 O
1.430 3.681 3.502 O
1.613 3.498 10.172 O
1.618 3.493 7.115 O
3.493 1.618 7.115 O
3.498 1.613 10.172 O
3.681 1.430 3.502 O
3.985 3.985 8.656 O
4.169 4.169 5.018 O
4.173 4.173 1.960 O

Ti2NbCdO | Alexandria via LeMat-Bulk | PBE | optimized geometry; crystal system = tetragonal; density of states at the Fermi level = 5.21 states/eV/f.u.; raw formation energy = -0.886 eV per atom
1.0
4.148 0.000 0.000
0.000 4.148 0.000
0.000 0.000 4.416
Ti Nb Cd O
2 1 1 1
Cartesian
0.000 2.074 0.000 Ti
2.074 0.000 0.000 Ti
0.000 0.000 2.208 Nb
2.074 2.074 2.208 Cd
0.000 0.000 0.000 O

NbTlCdO4 | Alexandria via LeMat-Bulk | PBE | optimized geometry; crystal system = monoclinic; density of states at the Fermi level = 0.00 states/eV/f.u.; raw formation energy = -1.664 eV per atom
1.0
6.416 0.000 0.000
0.000 6.303 0.000
-1.394 0.000 7.146
Nb Tl Cd O
2 2 2 8
Cartesian
0.975 1.576 0.784 Nb
4.047 4.728 6.362 Nb
0.960 4.728 2.959 Tl
4.062 1.576 4.187 Tl
0.961 4.728 6.676 Cd
4.061 1.576 0.471 Cd
-0.795 4.728 5.320 O
-0.893 1.576 6.175 O
2.168 0.098 1.093 O
2.168 3.054 1.093 O
2.854 3.250 6.053 O
2.854 6.206 6.053 O
5.915 4.728 0.971 O
5.817 1.576 1.826 O
-- stop --
O.K., I see in your eyes that this all is still hazy. I'll try to do a better summary.
You see, the problem is credit. The banks don't have enough dough and so they are reluctant to lend any. The value of houses has fallen; that of securities backed by mortgage payments also. So those assets are no longer salable by the banks. Financial institutions are choking.
They're choking so much that some have had to renounce the market's invisible hand to embrace - kiss kiss - the government's, which came to the rescue of giants like AIG.
So, American banks hesitate to lend what dough they have.
In an economy based on credit and $20 DVD players sold at Wal-Mart - so many $20 financed by mortgage loans against their house - Americans can't not borrow the money to finance their legitimate pursuit of happiness, guaranteed, as everyone knows, by the Declaration of Independence.
This happiness, as everyone knows, is guaranteed by the purchase of $20 DVD players (but that's not in the Declaration because Wal-Mart didn't exist in 1776) and - up until just recently - by the purchase of $200,000 houses for $450,000, the price set by the market, which market is always perceptive and right.
So, to correct the excesses of an economy doped-up by a real estate bubble, itself doped-up by the easy credit banks were giving their clients like Santa Claus giving out presents to kids on December 25, the American government has decided to administer horse medicine.
I mentioned those 700 billion dollars intended to reestablish the era of easy credit with the goal of allowing every American to buy a new $20 DVD player at Wal-Mart every day. And perhaps even to go back to paying $450,000 for houses worth $200,000 (with no down payment).
That's basic, right?
Good, now we're on the same wavelength.
That's why President George W. Bush took desperate remedies, that is, to delay the extreeeeeemely popular show, America's Got Talent (referring to talent in singing, dancing, acting, of course, not to talent in financial planning) 17 minutes.
So, Mr. Bush, with all the conviction he is famous for, no doubt after having prattled with his personal friend, Mr. Jesus-Christ, addressed the American people in one of those solemn speeches the Americans adore.
"Our economy is in danger," he soberly announced, with a sincerity rivaling that which he displayed before the invasion of Iraq. Then, the 43rd president assured the American people that the present dead-end was, "according to most economists," the fruit of problems that had been developing over the last ten years linked to the massive influx of foreign capital into the chosen country of God Himself.
Strangely, Mr. Bush did not mention that these last 18 months, all the ornaments of his administration snubbed the (many) economists who dared assert that a significant part of the American economy resembled a kind of pyramid scheme based on too-easy access to home ownership and, more properly, a defective government regulatory framework.
Why did Mr. Bush forget to mention that? No doubt an omission on the part of the technician in charge of parading Mr. Bush's text through the teleprompter.
So there we are, blissfully wondering whether 700 billion dollars stuck together can trace a path to the Sun. And whether the American economy will not experience a black and white period like the Great Depression.
Of course, we could worry. After all, if the Americans catch a cold, it's well-known, Canada ends up sneezing. Imagine when they have a Depression: that's the schizophrenia in store for us ...
Personally, I see absolutely no reason to worry: if George W. Bush conducts the war on economic gloom with the same dexterity with which he conducts the war on terrorism, I think we can rest easy.
Mr. Bush, after all, is the man who struck down Saddam Hussein. No little credit crisis is going to scare him; that's for sure.
Franklin Roosevelt, a Nation Turns Its Lonely Eyes to You
Saturday 27 September 2008
by: Michael Winship, t r u t h o u t | Perspective
Franklin Delano Roosevelt. (Photo:
We thirst for leadership, vision, someone who can speak to us in a way that refuses to avert its eyes from the crisis but shines a light of truth upon the problem, then offers hope and possible solutions.
If this is indeed an economic 9/11, as some have suggested, we need that voice now. Right now. And so far it has yet to be heard. Not from McCain, or Obama, or President Bush.
After September 11, 2001, the President stood on a pile of debris with a megaphone and said that the whole world could hear the rescue workers and shared their grief. Soon, words of sorrow degenerated into bumper sticker rhetoric: Axis of Evil, Wanted Dead or Alive, Mission Accomplished. Nor, at a time when people were ready to do whatever needed to be done, was there a call for national sacrifice. Instead, the President invoked not poets or statesman past, but variations on a tee-shirt slogan: when the going gets tough, the tough go shopping.
Over the last two weeks, he has been seen infrequently and when he has spoken his words have rung false. This Harvard MBA speaks Economics as though he were phonetically reading a foreign language.
The President has seemed underinformed, disconnected and not, you should excuse the word, invested. In his address to the nation Wednesday evening, he said that the government was blameless for the financial crisis; it had done what it was supposed to do but had been victimized by overseas lenders, greedy banks and Americans taking on more credit than they could carry. And as he has done too often before, he tried to make us afraid.
"The government's top economic experts warn that without immediate action by Congress, America could slip into a financial panic, and a distressing scenario would unfold." President Bush said. "More banks could fail, including some in your community. The stock market would drop even more, which would reduce the value of your retirement account. The value of your home could plummet. Foreclosures would rise dramatically. And if you own a business or a farm, you would find it harder and more expensive to get credit. More businesses would close their doors, and millions of Americans could lose their jobs."
Contrast what he had to say with President Franklin Delano Roosevelt when he was sworn into office for the first time, in 1933, during the Great Depression. Rather than foster anxiety and panic, FDR proclaimed, "The only thing we have to fear is fear itself," despite the fact that 13 million were unemployed, nine million had lost their savings and a quarter of the banks had closed. Wages had plummeted 60 percent. "The only thing we have to fear is fear itself" is the phrase that everyone remembers, but here's a little more of what FDR had to say:
"This is preeminently the time to speak the truth, the whole truth, frankly and boldly. Nor need we shrink from honestly facing conditions in our country today. This great Nation will endure, as it has endured, will revive and will prosper ...
"In such a spirit on my part and on yours we face our common difficulties. They concern, thank God, only material things. Values have shrunk to fantastic levels; taxes have risen; our ability to pay has fallen; government of all kinds is faced by serious curtailment of income ... More important, a host of unemployed citizens face the grim problem of existence and an equally great number toil with little return. Only a foolish optimist can deny the dark realities of the moment ...
"The money changers have fled from their high seats in the temple of our civilization. We may now restore that temple to the ancient truths. The measure of that restoration lies in the extent to which we apply social values more noble than mere monetary profit ... If I read the temper of our people correctly, we now realize, as we have never realized before, our interdependence on each other; that we can not merely take, but we must give as well."
Idealism and truth-telling intersected in FDR's speech. There was no equivocation, no pass-the-buck. But as decades passed, the belief in government as an instrument to advance the common good was rejected. Ronald Reagan became President, proclaimed that government was not the solution but the problem, and joked that, "The 10 most dangerous words in the English language are, "Hi, I'm from the Government, and I'm here to help."
Now, like a last-minute, battlefield conversion, the White House has rediscovered the value of government as backstop - not to relieve the misery of the people but the agonized indigestion of financial institutions suffering morbid obesity because they ate too much at the big shot banquet.
In these bailouts, there is no altruism but cynicism, the same attitude that scorns the Constitution and tramples civil liberties, that uses national tragedy to advance an unrelated global agenda, that doesn't give a damn as it tries to game and subvert the electoral process because deep down it fundamentally disdains democracy. Winning isn't everything; it's the only thing.
We need solutions, not sound bites or pandering. We need inspiration and hope, not spin or cant. The way things are going, we may have to find it within ourselves. But in the next five weeks, if one of the candidates can discover how to articulate that hope without pandering, can define our national trauma and tell us how to try to make it better without terrifying us, can give us something to believe in without false expectations, he will be our next President.
Michael Winship is senior writer of the weekly public affairs program Bill Moyers Journal, which airs Friday nights on PBS. Check local airtimes or comment at The Moyers Blog at
RFK Jr., Mike Papantonio: "Is Your Vote Safe?"
Kennedy is a genius. I've seen him speak many times over the years in many venues, large and small, in different countries. No one knows more about the environment than he. No one understands politics better than he does. And no one has done more - and exposed more - to show us what's really going on behind-the scenes so that our present course can be changed. If we don't pay attention to him, we're fools. MarkMonday 22 September 2008
by: Robert F. Kennedy Jr., Ring of Fire
Robert F. Kennedy Jr. has expressed concern for the safety of the vote in the 2008 election. (Photo:
Transcript from Ring of Fire on Air America Radio
Bobby: "There are about 30 scams the Republicans are deliberately using, particularly in the swing states to get Democratic voters off the rolls. These scams originate in the so-called Help America Vote Act which was passed after the Florida debacle in the year 2000. It was originally suggested by Democrats and Republicans but it was passed by a Republican congress with a Republican senate and a Republican president. And instead of reforming what happened in Florida it basically institutionalized all the problems that happened in Florida. And institutionalized a series of impediments that make it very difficult for Democrats to register, for Democrats to vote and then for Democrats to have their vote counted.
"One of these requirements under HAVA is called "the perfect match" and what that does is little known but it is devastating. A quarter of the voters in Colorado have just been removed from the rolls because of this - just this one scam. And what it does is they use a computer system to compare your registration application to all other government records of you in the state. So they'll look at your social security records, your motor vehicle records and any time you've had any interaction with the government and if there is any information on your voter registration that is different than the information on another government record that they find they remove you from the voting rolls.
"For example, if I registered as Robert F. Kennedy Jr. and yet my motor vehicle license said Robert Frances Kennedy Jr. I'd be removed from the rolls. If your initial is different, if you leave an initial out, if you leave a "Jr." out, if you leave a hyphen out in your name. And what they've done is a study in New York that said 80% of the errors are errors that were done by state clerks who are taking down this information. And particularly immigrant communities that people tend to vote Democratic, people have names … spell Muhammad with an "o" instead of a "u" (crosstalk)
Pap: "Are the Democrats Suing to Stop This?"
Bobby: "No, the Democrats are doing nothing to stop it. In New Jersey, which is a swing state, 300,000 voters in New Jersey were just sent letters saying that they are now ineligible to vote. New jersey is nice enough to actually notify them - most states will not even notify them. And New Jersey intends to send out 870,000 letters so that is three quarters of a million people off the voting rolls in a state that could decide this vote by 50,000 votes. And these are Democrats that are being pushed off the rolls.
Bobby: "Let me tell you about one other of these scams people should know about. If you're a newly registered voter - and of course the Democrats have done these gigantic registration drives - 12 million people on registration - if you're a new voter you MUST include your license or some other state I.D. when you come to vote. What that means is that if you're a college kid (and college kids now - they're sending in absentee ballots - they're not going to the voting place, they do everything online or they do everything remotely - they don't dream of going to the precinct house voting on election day and waiting in a long line) so if they send in the absentee ballot and they don't include a color copy of their license their vote is going to be thrown into a trash can. And none of these people know this because you have had to read the law in order to know it. So there is no notification for when you fill out your registration form, so all of those 12 million people that the Democrats have registered: those ballots are going to be just thrown out.
Pap: "And if Democrats won't talk about this how the hell's anybody gonna know about it? I'm involved with this kind of thing every day - I didn't know that until you just told me. The media is not talking about it. How in the hell is somebody gonna find this out? It's just incredible.
Bobby: "Hopefully - Obama is getting 66 million dollars a month - hopefully somebody in the Democratic organization is going to pay some attention to this before election day.
- - -
Nd3Y3Au4 | GGA-PBE | optimized geometry

- electronic total energy (eV per atom) = -5.35
- density (Mg/m³) = 9.2
- ΔE_f (eV per atom) = -0.6681

Unit cell a=3.889 b=8.311 c=8.311 alpha=91.07 beta=90.00 gamma=90.00
Fractional coordinates of all 10 atoms:
Nd: 0.000 0.000 0.000
Nd: 0.000 0.491 0.823
Nd: 0.000 0.823 0.491
Y: 0.000 0.329 0.329
Y: 0.500 0.157 0.660
Y: 0.500 0.660 0.157
Au: 0.500 0.038 0.297
Au: 0.500 0.297 0.038
Au: 0.500 0.525 0.525
Au: 0.500 0.791 0.791
- - -
Posted by Mark from
This polling organization has been showing up in realclearpolitics average for the past week or so. The results have been curious. Here's the explanation from today's lead story on Mark
I have gotten an increasing number of questions about the GWU/Battleground Poll, which presently gives John McCain a 2-point national lead, even as essentially every other current national poll shows Barack Obama with a lead of at least 5 points.
Just because a poll is an outlier doesn't necessarily mean that it's doing something wrong. Pollsters may have legitimate reasons for having a different perspective on the election, and they may also occasionally produce odd results due to chance alone.
In this case, however, the poll seems to be making a relatively fundamental mistake: it is not weighting by age.
Take a look for yourself at the "weighted tables" that Battleground released a couple of days ago (PDF). These crosstabs provide a ton of detail -- kudos to Battleground for doing so -- but unfortunately there is one red flag. This is the age makeup of their weighted sample:
18-34 17%
35-44 12%
45-64 40%
65+ 31%
Intuitively, this probably looks fairly wrong to you -- almost twice as many age 65+ voters as age18-34 voters? And in fact, it almost certainly is wrong. By comparison, here is the approximate age composition of the electorate in 2004, as according to the US Census Bureau**:18-34 26%
35-44 17%
45-64 38%
65+ 19%
Battleground's numbers are not even close. About 19 percent of voters were aged 65 and older in 2004, as compared to the 31 percent in the Battleground sample. On the other hand, 43 percent of voters were aged 18-44, as opposed to Battleground's 29 percent. These differences are much, much too large to be attributable to chance alone. (And all of this is assuming that turnout in 2008 will match that in 2004, even though youth turnout increased markedly in the primaries and is at least somewhat probable to do so in the general election.0
9/30 Daily Kos R2K Tracking Poll: Obama 51, McCain 41
by DemFromCT
Tue Sep 30, 2008 at 04:19:20 AM PDT
Today's Daily Kos Research 2000 tracking poll has Obama up over McCain 51-41. All trackers are data from three days prior to posting, with R2K numbers from today (yesterday's numbers in parentheses) and the other trackers are from yesterday (previous day's data). LV=likely voter, RV=registered voter.
Today's trackers will have Sat-Mon post-debate data, and will not fully reflect post-debate sentiment. The trackers do, however, include McCain campaign suspension/resumption days, and it's the financial crisis that is driving these numbers.
Obama McCain MoE +/- RV/LV
Research 2000: 51 (51) 41 (42) 3 LV
Rasmussen: 50 (50) 45 (44) 2 LV
Diageo/Hotline: 47 (47) 42 (42) 3.2 RV
Gallup: 50 (50) 42 (42) 2 RV
On successive days, Obama was up +9 Sat, +11 Sun and +11 Mon (MoE +/- 5.1 for individual days.)
One poll to highlight today: Gallup on the assessment of crisis response (click the pic for more readable graphic.)
Stephanopoulos: Voters blame Republicans for bill failure
07:19 | 30/09/2008George Stephanopoulos
ABC, Good Morning America
Inserted here: records of crystals =
'''
Entry 1:
A crystal of LiGePO2 relaxed with PBEsol. Source: Alexandria via LeMat-Bulk, functional SCAN.

Cell lengths 3.6235, 3.6235, 5.1958 Å; angles 90.00, 90.00, 90.00 degrees
Fractional coordinates of all 5 atoms:
Li1 0.0000 0.0000 0.0000
Ge1 0.5000 0.5000 0.5000
P1 0.5000 0.5000 0.0000
O1 0.0000 0.5000 0.5000
O2 0.5000 0.0000 0.5000

Calculated values
formation energy from raw total energies	-0.45	eV per atom
calculated total energy	-9.318	eV/atom

***

Entry 2:
A crystal of LiScGe2O6 relaxed with PBEsol. Source: Alexandria via LeMat-Bulk, functional SCAN.

Cell lengths 9.7027, 9.0885, 5.4422 Å; angles 90.00, 102.92, 90.00 degrees
Fractional coordinates of all 40 atoms:
Li1 0.2448 0.0055 0.4636
Li2 0.2448 0.4945 0.9636
Li3 0.7552 0.5055 0.0364
Li4 0.7552 0.9945 0.5364
Sc1 0.2484 0.6471 0.4654
Sc2 0.2484 0.8529 0.9654
Sc3 0.7516 0.1471 0.0346
Sc4 0.7516 0.3529 0.5346
Ge1 0.0549 0.1635 0.8132
Ge2 0.0549 0.3365 0.3132
Ge3 0.4506 0.1609 0.2504
Ge4 0.4506 0.3391 0.7504
Ge5 0.5494 0.6609 0.2496
Ge6 0.5494 0.8391 0.7496
Ge7 0.9451 0.6635 0.6868
Ge8 0.9451 0.8365 0.1868
O1 0.1107 0.1869 0.1466
O2 0.1107 0.3131 0.6466
O3 0.1320 0.6678 0.7508
O4 0.1320 0.8322 0.2508
O5 0.1333 0.0051 0.7362
O6 0.1333 0.4949 0.2362
O7 0.3635 0.6696 0.1822
O8 0.3635 0.8304 0.6822
O9 0.3794 0.2101 0.5120
O10 0.3794 0.2899 0.0120
O11 0.3810 0.5130 0.6890
O12 0.3810 0.9870 0.1890
O13 0.6190 0.0130 0.8110
O14 0.6190 0.4870 0.3110
O15 0.6206 0.7101 0.9880
O16 0.6206 0.7899 0.4880
O17 0.6365 0.1696 0.3178
O18 0.6365 0.3304 0.8178
O19 0.8667 0.5051 0.7638
O20 0.8667 0.9949 0.2638
O21 0.8680 0.1678 0.7492
O22 0.8680 0.3322 0.2492
O23 0.8893 0.6869 0.3534
O24 0.8893 0.8131 0.8534

Calculated values
formation energy from raw total energies	-2.44	eV per atom
calculated total energy	-11.659	eV/atom

***

Entry 3:
A crystal of Li4V2SiGeO10 relaxed with PBEsol. Source: Alexandria via LeMat-Bulk, functional SCAN.

Cell lengths 6.4099, 6.4099, 4.4814 Å; angles 90.00, 90.00, 90.00 degrees
Fractional coordinates of all 18 atoms:
Li1 0.2448 0.2448 0.0000
Li2 0.2448 0.7552 0.0000
Li3 0.7552 0.2448 0.0000
Li4 0.7552 0.7552 0.0000
V1 0.0000 0.5000 0.5908
V2 0.5000 0.0000 0.4092
Si1 0.0000 0.0000 0.5000
Ge1 0.5000 0.5000 0.5000
O1 0.0000 0.2060 0.7182
O2 0.0000 0.5000 0.2246
O3 0.0000 0.7940 0.7182
O4 0.2060 0.0000 0.2818
O5 0.2836 0.5000 0.7393
O6 0.5000 0.0000 0.7754
O7 0.5000 0.2836 0.2607
O8 0.5000 0.7164 0.2607
O9 0.7164 0.5000 0.7393
O10 0.7940 0.0000 0.2818

Calculated values
formation energy from raw total energies	-2.53	eV per atom
calculated total energy	-10.088	eV/atom

***

Entry 4:
A crystal of Li2V2SiGeO10 relaxed with PBEsol. Source: Alexandria via LeMat-Bulk, functional SCAN.

Cell lengths 6.3302, 6.3302, 4.5614 Å; angles 90.00, 90.00, 90.75 degrees
Fractional coordinates of all 16 atoms:
Li1 0.2394 0.7606 0.0000
Li2 0.7606 0.2394 0.0000
V1 0.0000 0.5000 0.3894
V2 0.5000 0.0000 0.6106
Si1 0.0000 0.0000 0.5000
Ge1 0.5000 0.5000 0.5000
O1 0.0000 0.5000 0.7416
'''
Stephanopoulos stated that the earliest anything can get done in Congress will be Wednesday. He said that "the power is in Wall Street now" as "another dropoff in the market on Wall Street would create more pressure" on Congress and force action in Congress.
Stephanopoulos revealed that a new ABC News poll coming out this morning asked voters who they blame for the failure of the vote. "The voters seem to be blaming the Republicans in Congress more than the Democrats in Congress" and "for the overall economic situation...voters tend to blame President Bush."